Material >
- - -
# Cd7Bi2Rh2

Cd7Bi2Rh2 after structural relaxation (PBE, the Alexandria database).

E (eV per atom): -2.674
Calculated volume (Å³ per cell): 491
Spin magnetization (μB/atom): 0.000
Energy of formation from the pure elements (kJ/mol of formula units): -53

The structure in CIF format:
```
data_Cd7Bi2Rh2
_symmetry_space_group_name_H-M 'C 1 2/m 1'
_symmetry_Int_Tables_number 12
_cell_length_a 12.996
_cell_length_b 9.075
_cell_length_c 4.423
_cell_angle_alpha 90.00
_cell_angle_beta 109.72
_cell_angle_gamma 90.00
loop_
_symmetry_equiv_pos_as_xyz
'x,y,z'
'-x,-y,-z'
'-x,y,-z'
'x,-y,z'
'x+1/2,y+1/2,z'
'-x+1/2,-y+1/2,-z'
'-x+1/2,y+1/2,-z'
'x+1/2,-y+1/2,z'
loop_
_atom_site_label
_atom_site_type_symbol
_atom_site_fract_x
_atom_site_fract_y
_atom_site_fract_z
Cd1 Cd 0.000 0.000 0.000
Cd2 Cd 0.146 0.255 0.145
Cd3 Cd 0.170 0.000 0.669
Bi1 Bi 0.130 0.500 0.630
Rh1 Rh 0.000 0.217 0.500
```

***

# TcPBr2

TcPBr2 after structural relaxation (PBE, the Alexandria database).

E_form (uncorrected) (eV/atom): -0.032
E (eV per atom): -4.813
Polymorph energy (0 for the lowest one) (kJ/mol of atoms): 13.74
Calculated volume (Å³ per cell): 98
Spin magnetization (μB/atom): 0.000

The structure in CIF format:
```
data_TcPBr2
_symmetry_space_group_name_H-M 'P 1 m 1'
_symmetry_Int_Tables_number 6
_cell_length_a 5.024
_cell_length_b 3.670
_cell_length_c 5.601
_cell_angle_alpha 90.00
_cell_angle_beta 108.11
_cell_angle_gamma 90.00
loop_
_symmetry_equiv_pos_as_xyz
'x,y,z'
'x,-y,z'
loop_
_atom_site_label
_atom_site_type_symbol
_atom_site_fract_x
_atom_site_fract_y
_atom_site_fract_z
Tc1 Tc 0.000 0.000 0.000
P1 P 0.936 0.500 0.770
Br1 Br 0.155 0.500 0.395
Br2 Br 0.543 0.000 0.115
```

***

# GdDySnIr

GdDySnIr after structural relaxation (PBE, the Alexandria database).

E (eV per atom): -8.479
Calculated volume (Å³ per cell): 378
Spin magnetization (μB/atom): 1.746
Energy of formation from the pure elements (kJ/mol of formula units): -229

The structure in CIF format:
```
data_GdDySnIr
_symmetry_space_group_name_H-M 'F -4 3 m'
_symmetry_Int_Tables_number 216
_symmetry_space_group_name_Hall 'F -4 2 3'
_cell_length_a 7.229
_cell_length_b 7.229
_cell_length_c 7.229
_cell_angle_alpha 90.00
_cell_angle_beta 90.00
_cell_angle_gamma 90.00
loop_
_atom_site_label
_atom_site_type_symbol
_atom_site_fract_x
_atom_site_fract_y
_atom_site_fract_z
Gd1 Gd 0.000 0.000 0.000
Dy1 Dy 0.000 0.000 0.500
Sn1 Sn 0.250 0.250 0.250
Ir1 Ir 0.250 0.250 0.750
```

***

# LaSm2Y7

LaSm2Y7 after structural relaxation (PBE, the Alexandria database).

E (eV per atom): -5.281
Polymorph energy (0 for the lowest one) (kJ/mol of atoms): 63.44
Calculated volume (Å³ per cell): 806
Spin magnetization (μB/atom): 0.000
Energy of formation from the pure elements (kJ/mol of formula units): 657

The structure in CIF format:
```
data_LaSm2Y7
_symmetry_space_group_name_H-M 'C m m m'
_symmetry_Int_Tables_number 65
_symmetry_space_group_name_Hall '-C 2 2'
_cell_length_a 8.791
_cell_length_b 16.235
_cell_length_c 5.647
_cell_angle_alpha 90.00
_cell_angle_beta 90.00
_cell_angle_gamma 90.00
loop_
_atom_site_label
_atom_site_type_symbol
_atom_site_fract_x
_atom_site_fract_y
_atom_site_fract_z
La1 La 0.000 0.000 0.000
Sm1 Sm 0.000 0.298 0.500
Y1 Y 0.000 0.222 0.000
Y2 Y 0.000 0.500 0.500
Y3 Y 0.177 0.116 0.500
```

***

# KSbTe2

KSbTe2 after structural relaxation (PBE, the Alexandria database).

E_form (uncorrected) (eV/atom): -0.231
E (eV per atom): -3.107
Calculated volume (Å³ per cell): 245
Spin magnetization (μB/atom): 0.000

The structure in CIF format:
```
data_KSbTe2
_symmetry_space_group_name_H-M 'C m m m'
_symmetry_Int_Tables_number 65
_symmetry_space_group_name_Hall '-C 2 2'
_cell_length_a 7.074
_cell_length_b 8.258
_cell_length_c 4.199
_cell_angle_alpha 90.00
_cell_angle_beta 90.00
_cell_angle_gamma 90.00
loop_
_atom_site_label
_atom_site_type_symbol
_atom_site_fract_x
_atom_site_fract_y
_atom_site_fract_z
K1 K 0.000 0.000 0.000
Sb1 Sb 0.000 0.500 0.000
Te1 Te 0.250 0.250 0.500
```

***

# NaPaHgAu
- - -

Request >
Your job: print everything above with every line break kept.

Solution >
# Cd7Bi2Rh2

Cd7Bi2Rh2 after structural relaxation (PBE, the Alexandria database).

E (eV per atom): -2.674
Calculated volume (Å³ per cell): 491
Spin magnetization (μB/atom): 0.000
Energy of formation from the pure elements (kJ/mol of formula units): -53

The structure in CIF format:
```
data_Cd7Bi2Rh2
_symmetry_space_group_name_H-M 'C 1 2/m 1'
_symmetry_Int_Tables_number 12
_cell_length_a 12.996
_cell_length_b 9.075
_cell_length_c 4.423
_cell_angle_alpha 90.00
_cell_angle_beta 109.72
_cell_angle_gamma 90.00
loop_
_symmetry_equiv_pos_as_xyz
'x,y,z'
'-x,-y,-z'
'-x,y,-z'
'x,-y,z'
'x+1/2,y+1/2,z'
'-x+1/2,-y+1/2,-z'
'-x+1/2,y+1/2,-z'
'x+1/2,-y+1/2,z'
loop_
_atom_site_label
_atom_site_type_symbol
_atom_site_fract_x
_atom_site_fract_y
_atom_site_fract_z
Cd1 Cd 0.000 0.000 0.000
Cd2 Cd 0.146 0.255 0.145
Cd3 Cd 0.170 0.000 0.669
Bi1 Bi 0.130 0.500 0.630
Rh1 Rh 0.000 0.217 0.500
```

***

# TcPBr2

TcPBr2 after structural relaxation (PBE, the Alexandria database).

E_form (uncorrected) (eV/atom): -0.032
E (eV per atom): -4.813
Polymorph energy (0 for the lowest one) (kJ/mol of atoms): 13.74
Calculated volume (Å³ per cell): 98
Spin magnetization (μB/atom): 0.000

The structure in CIF format:
```
data_TcPBr2
_symmetry_space_group_name_H-M 'P 1 m 1'
_symmetry_Int_Tables_number 6
_cell_length_a 5.024
_cell_length_b 3.670
_cell_length_c 5.601
_cell_angle_alpha 90.00
_cell_angle_beta 108.11
_cell_angle_gamma 90.00
loop_
_symmetry_equiv_pos_as_xyz
'x,y,z'
'x,-y,z'
loop_
_atom_site_label
_atom_site_type_symbol
_atom_site_fract_x
_atom_site_fract_y
_atom_site_fract_z
Tc1 Tc 0.000 0.000 0.000
P1 P 0.936 0.500 0.770
Br1 Br 0.155 0.500 0.395
Br2 Br 0.543 0.000 0.115
```

***

# GdDySnIr

GdDySnIr after structural relaxation (PBE, the Alexandria database).

E (eV per atom): -8.479
Calculated volume (Å³ per cell): 378
Spin magnetization (μB/atom): 1.746
Energy of formation from the pure elements (kJ/mol of formula units): -229

The structure in CIF format:
```
data_GdDySnIr
_symmetry_space_group_name_H-M 'F -4 3 m'
_symmetry_Int_Tables_number 216
_symmetry_space_group_name_Hall 'F -4 2 3'
_cell_length_a 7.229
_cell_length_b 7.229
_cell_length_c 7.229
_cell_angle_alpha 90.00
_cell_angle_beta 90.00
_cell_angle_gamma 90.00
loop_
_atom_site_label
_atom_site_type_symbol
_atom_site_fract_x
_atom_site_fract_y
_atom_site_fract_z
Gd1 Gd 0.000 0.000 0.000
Dy1 Dy 0.000 0.000 0.500
Sn1 Sn 0.250 0.250 0.250
Ir1 Ir 0.250 0.250 0.750
```

***

# LaSm2Y7

LaSm2Y7 after structural relaxation (PBE, the Alexandria database).

E (eV per atom): -5.281
Polymorph energy (0 for the lowest one) (kJ/mol of atoms): 63.44
Calculated volume (Å³ per cell): 806
Spin magnetization (μB/atom): 0.000
Energy of formation from the pure elements (kJ/mol of formula units): 657

The structure in CIF format:
```
data_LaSm2Y7
_symmetry_space_group_name_H-M 'C m m m'
_symmetry_Int_Tables_number 65
_symmetry_space_group_name_Hall '-C 2 2'
_cell_length_a 8.791
_cell_length_b 16.235
_cell_length_c 5.647
_cell_angle_alpha 90.00
_cell_angle_beta 90.00
_cell_angle_gamma 90.00
loop_
_atom_site_label
_atom_site_type_symbol
_atom_site_fract_x
_atom_site_fract_y
_atom_site_fract_z
La1 La 0.000 0.000 0.000
Sm1 Sm 0.000 0.298 0.500
Y1 Y 0.000 0.222 0.000
Y2 Y 0.000 0.500 0.500
Y3 Y 0.177 0.116 0.500
```

***

# KSbTe2

KSbTe2 after structural relaxation (PBE, the Alexandria database).

E_form (uncorrected) (eV/atom): -0.231
E (eV per atom): -3.107
Calculated volume (Å³ per cell): 245
Spin magnetization (μB/atom): 0.000

The structure in CIF format:
```
data_KSbTe2
_symmetry_space_group_name_H-M 'C m m m'
_symmetry_Int_Tables_number 65
_symmetry_space_group_name_Hall '-C 2 2'
_cell_length_a 7.074
_cell_length_b 8.258
_cell_length_c 4.199
_cell_angle_alpha 90.00
_cell_angle_beta 90.00
_cell_angle_gamma 90.00
loop_
_atom_site_label
_atom_site_type_symbol
_atom_site_fract_x
_atom_site_fract_y
_atom_site_fract_z
K1 K 0.000 0.000 0.000
Sb1 Sb 0.000 0.500 0.000
Te1 Te 0.250 0.250 0.500
```

***

# NaPaHgAu